Startup studio

Between two parts of the article: data records:
┌──
[1]
# SbO2
Computed powder diffraction line list, Cu Kα, 1.54184 Å. Input: a DFT-relaxed cell (PBE, Alexandria).

Largest 6 diffraction maxima, sorted by position, 15 to 90 degrees two-theta:
2θ (°)  d (Å)  I/Imax  index
26.38  3.379  1000  1 1 1
29.78  3.000  287  4 0 0
31.01  2.884  519  3 1 -1
33.21  2.698  215  2 0 -2
47.94  1.898  375  5 1 1
50.35  1.812  170  2 2 -2

Atomic structure:
Unit cell a=12.219 b=4.892 c=5.595 alpha=90.00 beta=100.88 gamma=90.00
Space group C2/c (No. 15)
Asymmetric unit:
Sb 0.000 0.212 0.250 x4
Sb 0.250 0.250 0.000 x4
O 0.095 0.083 0.961 x8
O 0.189 0.479 0.240 x8



[2]
# Pm4Al
Computed powder diffraction line list, Cu Kα, 1.54184 Å. Input: a DFT-relaxed cell (PBE, Alexandria).

Largest 6 diffraction maxima, sorted by position, 15 to 90 degrees two-theta:
2θ (°)  d (Å)  I/Imax  index
24.24  3.672  290  2 1 1
27.20  3.279  461  2 2 0
29.71  3.007  1000  2 0 2
31.07  2.879  513  3 0 1
35.42  2.534  247  1 0 3
36.75  2.446  307  3 2 1

Atomic structure:
Unit cell a=9.274 b=9.274 c=7.903 alpha=90.00 beta=90.00 gamma=90.00
Space group I4_1/amd (No. 141, origin choice 2)
Asymmetric unit:
Pm 0.000 0.062 0.215 x16
Al 0.000 0.250 0.875 x4



[3]
# Tb3Sm2Y6Ho
Computed powder diffraction line list, Cu Kα, 1.54184 Å. Input: a DFT-relaxed cell (PBE, Alexandria).

Largest 6 diffraction maxima, sorted by position, 15 to 90 degrees two-theta:
2θ (°)  d (Å)  I/Imax  index
30.65  2.917  1000  1 3 1
35.54  2.526  504  2 0 2
51.14  1.786  354  1 3 5
60.80  1.523  349  4 0 0
83.35  1.159  114  4 6 0
86.11  1.129  106  3 3 7

Atomic structure:
Unit cell a=6.193 b=10.718 c=11.832 alpha=90.00 beta=99.99 gamma=90.00
Space group C2/m (No. 12)
Asymmetric unit:
Tb 0.000 0.000 0.000 x2
Tb 0.000 0.333 0.000 x4
Sm 0.000 0.167 0.500 x4
Y 0.249 0.500 0.249 x4
Y 0.250 0.166 0.249 x8
Ho 0.000 0.500 0.500 x2
└──

A startup studio, also known as a startup factory, or a startup foundry, or a venture studio, is a studio-like company that aims at building several companies in succession. This style of business building is referred to as "parallel entrepreneurship".


, founded by Bill Gross in 1996, was one of the first to introduce the 'incubator industry', and has started over 75 companies. Idealab was founded to test many ideas at once and turn the best of them into companies while also attracting the human and financial capital necessary to bring them to the market.
The startup studio trend had really begun to gain momentum around 2008. Today, there are over 65 startup studios across the world, of which 17 have been built since 2013.


There are several types of startup studio models.

"Builder" studios

[Materials data that have nothing to do with the article]
____________
No. 1
# HoTmSi2Pt5
Simulated PXRD pattern, Cu Kα X-rays. Input: a DFT-relaxed cell (PBE, Alexandria).

Principal peaks in the range 2θ from 5° to 70°, by angle:
hkl  2theta  Rel. int.
0 0 1  9.90  14.4
0 0 2  19.87  3.8
1 0 1  23.56  4.5
1 0 2  29.31  2.3
1 1 2  36.53  100.0
1 0 3  37.10  3.4
0 0 4  40.38  16.4
1 1 3  43.19  7.4
2 0 0  43.43  34.6
2 0 4  60.79  20.1
2 2 0  63.11  11.6
2 0 5  69.27  3.0

Atomic structure:
```
HoTmSi2Pt5
1.0
4.167 0.000 0.000
0.000 4.167 0.000
0.000 0.000 8.935
Ho Tm Si Pt
1 1 2 5
Direct
0.000 0.000 0.000 Ho
0.000 0.000 0.500 Tm
0.500 0.500 0.370 Si
0.500 0.500 0.630 Si
0.000 0.500 0.235 Pt
0.000 0.500 0.765 Pt
0.500 0.000 0.235 Pt
0.500 0.000 0.765 Pt
0.500 0.500 0.000 Pt
```

=====

No. 2
# Sr3Li2OsO6
Simulated PXRD pattern, Cu Kα X-rays. Input: a DFT-relaxed cell (PBE, Alexandria).

Principal peaks in the range 2θ from 5° to 70°, by angle:
hkl  2theta  Rel. int.
0 0 1  13.83  88.4
1 0 0  17.89  86.2
1 1 0  31.25  100.0
0 1 2  33.31  80.7
1 1 1  34.32  37.3
2 0 1  38.96  18.6
1 1 2  42.35  42.6
2 0 2  46.32  64.3
3 0 0  55.62  20.1
1 2 2  56.94  45.6
0 1 4  60.79  21.5
2 2 0  65.19  19.1

Atomic structure:
```
Sr3Li2OsO6
1.0
5.724 0.000 0.000
-2.862 4.957 0.000
0.000 0.000 6.404
Sr Li Os O
3 2 1 6
Direct
0.000 0.000 0.000 Sr
0.333 0.667 0.622 Sr
0.667 0.333 0.378 Sr
0.333 0.667 0.197 Li
0.667 0.333 0.803 Li
0.000 0.000 0.500 Os
0.163 0.326 0.313 O
0.163 0.837 0.313 O
0.326 0.163 0.687 O
0.674 0.837 0.313 O
0.837 0.163 0.687 O
0.837 0.674 0.687 O
```

=====

No. 3
# MnRhCl6
Simulated PXRD pattern, Cu Kα X-rays. Input: a DFT-relaxed cell (PBE, Alexandria).

Principal peaks in the range 2θ from 5° to 70°, by angle:
hkl  2theta  Rel. int.
1 1 0  15.52  100.0
2 0 -1  30.88  10.6
1 3 1  31.05  14.9
2 0 -2  40.62  11.9
1 3 2  40.86  8.7
3 1 0  41.86  5.3
2 2 -2  43.67  5.1
0 4 2  43.85  5.0
3 3 0  47.79  10.9
3 1 -2  52.09  4.9
1 5 2  52.41  5.0
3 5 0  58.26  7.4

Atomic structure:
```
MnRhCl6
1.0
6.591 0.000 0.000
0.000 11.424 0.000
-0.057 0.000 5.976
Mn Rh Cl
2 2 12
Direct
0.000 0.000 0.000 Mn
0.500 0.500 0.000 Mn
0.000 0.000 0.500 Rh
0.500 0.500 0.500 Rh
0.140 0.140 0.747 Cl
0.140 0.860 0.747 Cl
0.219 0.500 0.742 Cl
0.281 0.000 0.258 Cl
0.360 0.360 0.253 Cl
0.360 0.640 0.253 Cl
0.640 0.360 0.747 Cl
0.640 0.640 0.747 Cl
0.719 0.000 0.742 Cl
0.781 0.500 0.258 Cl
0.860 0.140 0.253 Cl
0.860 0.860 0.253 Cl
```

----------

No. 1
Starting from a cell relaxed with PBE, the powder diffraction line list of La4Pr5Y was simulated for Cu Kα (λ = 1.5418 Å).

Structural model:
```
La4Pr5Y
1.0
10.8384 0.0000 0.0000
0.0000 10.8384 0.0000
0.0000 0.0000 6.0763
La Pr Y
8 10 2
Direct
0.0507 0.7500 0.1288
0.2500 0.5507 0.8712
0.2500 0.9493 0.8712
0.4493 0.7500 0.1288
0.5507 0.2500 0.8712
0.7500 0.0507 0.1288
0.7500 0.4493 0.1288
0.9493 0.2500 0.8712
0.0908 0.0908 0.3462
0.0908 0.4092 0.3462
0.2500 0.7500 0.5000
0.4092 0.0908 0.3462
0.4092 0.4092 0.3462
0.5908 0.5908 0.6538
0.5908 0.9092 0.6538
0.7500 0.2500 0.5000
0.9092 0.5908 0.6538
____________
[Here the article continues]

A builder startup studio focuses on creating and developing a company, mostly from internal ideas. Notable examples of this model are Atomic, Pioneer Square Labs, and Rocket Internet.
Unlike business incubators and accelerators, venture builders generally don't accept applications concerning their portfolio of companies, and the companies instead "pull business ideas from within their own network of resources and assign internal teams to develop them."
According to VentureBeat, Nova Spivack was "part of the early technologists who pioneered the venture production studio model. He wrote about the model in 2011 at a time when most of its production elements were still in gestation. Nova actually invented the Venture Production Studio term, calling it a 'new approach to building startups.'"

"Investor" studios

Investor venture studios bring in early-stage external startups and help them grow by providing them both funds and expertise. Studios Betaworks and Science, Inc. fall in this category.
At the very end of the spectrum, some VC firms are growing closer to the startup studio model by intervening very operationally in the startup they invest; for instance Andreessen Horowitz and Google Ventures. However, this participation is usually limited to some areas, such as recruitment, fund raising, or PR relations.

"Incubator" studios

Incubator startup studios are accelerators that get equity in exchange of providing funds and expertise, but also get involved in building the startup.


Business model

Startup studios are often mistaken with startup incubators and startup accelerator, or operational Venture Capital firms.
The startup studio model is defined by three important criteria:
Unlike startup incubators or VCs, the main goal of a startup studio is to build a startup from the ground up. This implies an important involvement of time, dedication and resources to working operationally on the project for a period of time.
One focus of a startup studio is the rapid development and prototyping of new products. They work on multiple startups and projects simultaneously instead of building one project at a time.
Startup studios own an infrastructure made of pooled resources: technical tools, management processes, and a multi-disciplinary team. By building several projects a year with the same team, startups studios can re-use this infrastructure, software and best practices across products.

Features in early stage ventures

;Startup studios in the early-stage entrepreneurship environment
Startup studios occupy a specific place in the entrepreneurship environment, based on the amount of human and financial support they provide to the startups: